Some Of The Worst Stories Around!
I was watching Fantastic Journey on Youtube with Jared Martin and I remembered his appearance on One Life To Live as apparently Dr. Donald Lamarr.
For the year he was on the show, it seems he began dating some daft woman who had a beautiful young blonde daughter. She was a very pretty young girl.
So he becomes the bad doctor and he was attacking mom in the bedroom. The daughter enters and is holding a gun for him to leave her mother alone. She fired the gun and the plot was, he, lying on the bed, threw her mother in front of the bullet!
So then we get this actress as Mom, not an altogether attractive woman, on her knees on the bed, her back arched as tho she has just been shot by her own daughter, she had no shirt on, only the bra, unbelievably unpleasant pose, situation, look, EVYERYTHING!!!
I have no idea how it all turned out, really didn't care, the doctor kept insisting the girl shot her mother, she kept insisting she was aiming at him and he pushed her mother in front of the gun???
I'm sure Jared was removed from the show in no time after this, but it was the little girl I kept thinking about.
Attached: calculated molecules:
┌──
Below is a cluster of 9 separate species, C47H67BrF11I2NO30Si in total at a distorted geometry, with properties calculated with ωB97M-V with the def2-TZVPD basis set.

Positions of all 160 atoms, in Å:
C (3.472944, -4.428863, 2.997593)
C (3.358887, -3.513607, 4.224132)
C (2.863643, -2.095705, 3.865085)
C (1.312046, -2.056790, 3.732368)
O (0.987660, -1.428485, 2.494694)
C (-0.162441, -0.683007, 2.486058)
N (-0.138203, 0.447533, 3.337058)
I (-1.817524, -2.023244, 3.274697)
O (-0.587680, -0.430069, 1.188317)
C (-0.060416, 0.623695, 0.455933)
Br (-0.820327, 2.404904, 0.911378)
C (-0.560282, 0.394451, -1.005048)
C (-2.092044, 0.160128, -1.081984)
C (-2.537233, -1.296450, -0.879562)
C (-3.923390, -1.447889, -1.573164)
C (-4.712775, -2.628810, -1.033587)
O (-4.128214, -3.840225, -1.560371)
C (-4.361523, -4.912938, -0.808123)
C (-3.448404, -6.093938, -1.051056)
O (-5.228209, -4.998950, -0.014410)
O (0.108117, -0.682313, -1.632790)
C (0.109720, -0.567922, -3.062017)
C (-0.416638, -1.910757, -3.611773)
C (-0.035730, -2.218232, -5.081365)
C (0.645729, -3.597506, -5.164698)
I (-0.917514, -5.113766, -5.050596)
C (1.559662, -0.250144, -3.482714)
C (2.519305, -1.409286, -3.229283)
O (3.538947, -1.028508, -2.319708)
Si (4.194705, -2.373739, -1.528514)
C (2.809405, -3.093144, -0.455801)
C (5.492276, -1.655369, -0.339175)
C (4.956120, -3.610126, -2.738722)
C (1.469845, 0.824840, 0.420009)
F (1.976585, 1.328170, 1.525934)
F (1.746384, 1.728119, -0.529266)
F (2.156307, -0.238810, 0.142226)
H (4.276074, -4.133049, 2.323112)
H (3.745436, -5.417537, 3.381520)
H (2.524178, -4.558768, 2.477760)
H (2.637277, -3.990465, 4.883060)
H (4.338150, -3.462953, 4.701952)
H (3.261174, -1.875850, 2.869735)
H (3.244168, -1.329523, 4.540444)
H (0.995321, -3.097067, 3.772703)
H (0.951270, -1.523630, 4.611151)
H (-1.037306, 0.909223, 3.213592)
H (-0.126744, 0.181861, 4.314873)
H (-0.359745, 1.280842, -1.611833)
H (-2.677807, 0.785348, -0.413135)
H (-2.384884, 0.447958, -2.088861)
H (-1.895852, -2.037865, -1.342539)
H (-2.730747, -1.500126, 0.175257)
H (-3.689149, -1.700021, -2.617261)
H (-4.489906, -0.516988, -1.602006)
H (-5.743825, -2.580230, -1.385064)
H (-4.651139, -2.610894, 0.052394)
H (-3.980534, -7.001297, -0.783902)
H (-3.144283, -6.154332, -2.096231)
H (-2.581711, -6.035899, -0.393603)
H (-0.544610, 0.223992, -3.441801)
H (-1.499011, -1.897300, -3.484234)
H (-0.046694, -2.705229, -2.959532)
H (-0.967272, -2.313666, -5.639290)
H (0.532539, -1.427879, -5.571778)
H (1.207123, -3.766184, -6.078271)
H (1.261382, -3.803101, -4.297461)
H (1.883248, 0.555802, -2.819415)
H (1.621894, 0.152771, -4.493868)
H (2.010503, -2.325635, -2.914144)
H (3.012155, -1.646393, -4.186288)
H (2.722159, -4.175449, -0.512200)
H (1.870380, -2.639970, -0.792393)
H (2.958609, -2.743474, 0.562382)
H (6.507587, -1.963815, -0.588980)
H (5.244741, -1.985193, 0.671116)
H (5.410947, -0.565730, -0.351833)
H (4.554482, -4.622924, -2.663182)
H (6.042350, -3.595415, -2.630268)
H (4.741616, -3.265629, -3.758144)
└──
You produce a show, you have a lovely little girl like this, the audience is supposed to like her and she SHOOTS HER MOM??
What sort of logic is going to allow her any kind of appeal after that? "Oh, she shot her mother, but she was aiming at the guy who was attacking her mother."
Needless to say, she wasn't on there long either.
It reminded me of little Jon Ryan, the grandson on Ryan's Hope, all grown up, now with a kid of his own. A single father.
The mother of the child eventually showed up, a rather plain, curly blonde girl.
But she was molested by her father and she killed him self defense. All played out on the show.
Again, this is supposed to be appealing to the viewer? It's just going to be swept under the rug and we're going to be happy to see this girl in later episodes?
Ryan's Hope was the one that really made me think, when a girl was dying that Patrick Ryan (Malcolm Groome) was in love with, and a writer or producer of the show said, when it became a ratings disaster, "viewers don't want to see someone they care about go thru such misery."
I thought, nobody cared about that girl. We hadn't been watching her any grand length of time like we had the rest of the people on the show.
I remember both Ryan's Hope actresses I mentioned here ended up later on in commercials, so I always remembered them after that.
Patrick Ryan's beloved in a spaghetti sauce commercial. I guess she got better.